

New life: from the first store jeans to pole dancing fitness

Our 22-year-old female patient had gastric bypass surgery at the Duna Medical Center in August 2016, as a result of which her weight decreased from 149 kg to 102 kg in 8 months.
New life: from the first store jeans to pole dancing fitness

+++
*P*
First-principles (PBE) data for a relaxed Y4Ho4Tm crystal, as listed in Alexandria via LeMat-Bulk.

- V (Å³ per cell) = 565.3
- density of states at the Fermi level (states/eV/cell) = 26.2

Cell: 10.6344 10.6344 4.9990 Å, 90.00 90.00 90.00°
Space group I4/mmm (No. 139)
One atom of each set of equivalent atoms:
Y 0.1664 0.1664 0.0000 [8 per cell]
Ho 0.0000 0.3344 0.5000 [8 per cell]
Tm 0.0000 0.0000 0.5000 [2 per cell]

=====

*Q*
First-principles (PBE) data for a relaxed Y4Ho4Tm crystal, as listed in Alexandria via LeMat-Bulk.

- V (Å³ per cell) = 286.8
- density of states at the Fermi level (states/eV/cell) = 17.3

Cell: 5.4865 6.7545 8.7799 Å, 110.91 108.02 90.01°
Space group P-1 (No. 2)
One atom of each set of equivalent atoms:
Y 0.1353 0.4735 0.2684 [2 per cell]
Y 0.2799 0.2026 0.5604 [2 per cell]
Ho 0.0741 0.8869 0.1447 [2 per cell]
Ho 0.3632 0.7963 0.7288 [2 per cell]
Tm 0.5000 0.5000 0.0000 [1 per cell]

=====

Order of stability, best first: *P*, *Q*

=====

*P*
First-principles (PBE) data for a relaxed Y3Ho4Tm crystal, as listed in Alexandria via LeMat-Bulk.

- V (Å³ per cell) = 514.1
- density of states at the Fermi level (states/eV/cell) = 28.2

Cell: 23.3594 3.4701 6.6117 Å, 90.00 106.40 90.00°
Space group C2/m (No. 12)
One atom of each set of equivalent atoms:
Y 0.0000 0.0000 0.0000 [2 per cell]
Y 0.1249 0.0000 0.3809 [4 per cell]
Ho 0.1242 0.0000 0.8669 [4 per cell]
Ho 0.2392 0.5000 0.7422 [4 per cell]
Tm 0.0000 0.5000 0.5000 [2 per cell]

=====

*Q*
First-principles (PBE) data for a relaxed Y3Ho4Tm crystal, as listed in Alexandria via LeMat-Bulk.

- V (Å³ per cell) = 507.9
- density of states at the Fermi level (states/eV/cell) = 27.3

Cell: 11.1967 7.2447 6.2616 Å, 90.00 90.00 90.00°
Space group Pmn2_1 (No. 31)
One atom of each set of equivalent atoms:
Y 0.0000 0.1259 0.0000 [2 per cell]
Y 0.2495 0.1258 0.3361 [4 per cell]
Ho 0.0000 0.3767 0.5046 [2 per cell]
Ho 0.0000 0.6242 0.0031 [2 per cell]
Ho 0.2488 0.6242 0.3351 [4 per cell]
Tm 0.0000 0.8736 0.5008 [2 per cell]

=====

Order of stability, best first: *Q*, *P*

=====

*P*
First-principles (PBE) data for a relaxed YHo6Tm12 crystal, as listed in Alexandria via LeMat-Bulk.

- V (Å³ per cell) = 1791.2
- density of states at the Fermi level (states/eV/cell) = 93.2

Cell: 11.7197 11.7197 15.0583 Å, 90.00 90.00 120.00°
Space group R-3 (No. 148, hexagonal axes)
One atom of each set of equivalent atoms:
Y 0.0000 0.0000 0.0000 [3 per cell]
Ho 0.0086 0.4217 0.6766 [18 per cell]
Tm 0.0218 0.8378 0.1920 [18 per cell]
Tm 0.0393 0.8520 0.4154 [18 per cell]

=====

*Q*
First-principles (PBE) data for a relaxed YHo6Tm12 crystal, as listed in Alexandria via LeMat-Bulk.

- V (Å³ per cell) = 1908.3
- density of states at the Fermi level (states/eV/cell) = 76.0

Cell: 14.8757 14.8757 9.9576 Å, 90.00 90.00 120.00°
Space group R-3m (No. 166, hexagonal axes)
One atom of each set of equivalent atoms:
Y 0.0000 0.0000 0.0000 [3 per cell]
Ho 0.0561 0.5280 0.2131 [18 per cell]
+++

Update: It's been a year since our patient's surgery, in August 2017 the scale shows only 96 kg, which means a total weight loss of 53 kg!

In May, the lady visited the Duna Medical Center: our staff barely knew the lady, who at that time had lost "only" 47 kilograms. Although we have continuously monitored his condition since the surgery, we now asked him about milestones, goals, and everyday challenges.

┌──
Compound: Ca2AlGe3Pd4
Source: the Alexandria database
Functional: GGA-PBE
Structure: relaxed

Values from the calculation:
- final energy (eV/atom) = -4.965
- space-group type = P-4m2

The structure in CIF format:
```
data_Ca2AlGe3Pd4
_cell_length_a 4.1547
_cell_length_b 4.1547
_cell_length_c 10.9841
_cell_angle_alpha 90.00
_cell_angle_beta 90.00
_cell_angle_gamma 90.00
_space_group_name_H-M_alt 'P 1'
_space_group_IT_number 1
loop_
_space_group_symop_operation_xyz
'x,y,z'
loop_
_atom_site_label
_atom_site_fract_x
_atom_site_fract_y
_atom_site_fract_z
Ca1 0.0000 0.5000 0.2478
Ca2 0.5000 0.0000 0.7522
Al1 0.0000 0.0000 0.5000
Ge1 0.0000 0.5000 0.8661
Ge2 0.5000 0.0000 0.1339
Ge3 0.5000 0.5000 0.5000
Pd1 0.0000 0.0000 0.0000
Pd2 0.0000 0.5000 0.6373
Pd3 0.5000 0.0000 0.3627
Pd4 0.5000 0.5000 0.0000
```

Compound: Rb3PaAg2Se6
Source: the Alexandria database
Functional: GGA-PBE
Structure: relaxed

Values from the calculation:
- formation energy (no corrections) (kJ per mole of atoms) = -80
- space-group type = C2/m

The structure in CIF format:
```
data_Rb3PaAg2Se6
_cell_length_a 7.4109
_cell_length_b 7.4109
_cell_length_c 8.3587
_cell_angle_alpha 97.48
_cell_angle_beta 97.48
_cell_angle_gamma 124.68
_space_group_name_H-M_alt 'P 1'
_space_group_IT_number 1
loop_
_space_group_symop_operation_xyz
'x,y,z'
loop_
_atom_site_label
_atom_site_fract_x
_atom_site_fract_y
_atom_site_fract_z
Rb1 0.0000 0.0000 0.0000
Rb2 0.3225 0.6775 0.0000
Rb3 0.6775 0.3225 0.0000
Pa1 0.5000 0.5000 0.5000
Ag1 0.1479 0.8521 0.5000
Ag2 0.8521 0.1479 0.5000
Se1 0.1001 0.4141 0.3146
Se2 0.2588 0.2588 0.7135
Se3 0.4141 0.1001 0.3146
Se4 0.5859 0.8999 0.6854
Se5 0.7412 0.7412 0.2865
Se6 0.8999 0.5859 0.6854
```

Compound: Sc12Tl4PdO3
Source: the Alexandria database
Functional: GGA-PBE
Structure: relaxed

Values from the calculation:
- formation energy (no corrections) (kJ per mole of atoms) = -102
- space-group type = Im-3m

The structure in CIF format:
```
data_Sc12Tl4PdO3
_cell_length_a 7.9993
_cell_length_b 7.9993
_cell_length_c 7.9993
_cell_angle_alpha 109.47
_cell_angle_beta 109.47
_cell_angle_gamma 109.47
_space_group_name_H-M_alt 'P 1'
_space_group_IT_number 1
loop_
_space_group_symop_operation_xyz
'x,y,z'
loop_
_atom_site_label
_atom_site_fract_x
_atom_site_fract_y
_atom_site_fract_z
Sc1 0.0000 0.2689 0.2689
Sc2 0.0000 0.7311 0.7311
Sc3 0.2500 0.5000 0.7500
Sc4 0.2500 0.7500 0.5000
Sc5 0.2689 0.0000 0.2689
Sc6 0.2689 0.2689 0.0000
Sc7 0.5000 0.2500 0.7500
Sc8 0.5000 0.7500 0.2500
Sc9 0.7311 0.0000 0.7311
Sc10 0.7311 0.7311 0.0000
Sc11 0.7500 0.2500 0.5000
Sc12 0.7500 0.5000 0.2500
Tl1 0.0000 0.0000 0.5000
Tl2 0.0000 0.5000 0.0000
Tl3 0.5000 0.0000 0.0000
Tl4 0.5000 0.5000 0.5000
Pd1 0.0000 0.0000 0.0000
O1 0.0000 0.5000 0.5000
O2 0.5000 0.0000 0.5000
O3 0.5000 0.5000 0.0000
```

----------

! Sr3Bi2Pd9Au PBE relaxed; values from VASP
! **Energy of formation**: -244 meV/atom
! **Magnetization**: 0.00 μB per cell
! **DFT total energy**: -66.49 eV for the cell shown
&SYSTEM
└──

Were there any "milestones" that meant a lot to you?

I regularly go for walks with my puppy, several times a day. About 1 month after the surgery, I noticed that he got tired sooner than I did. This has rarely happened before. I am also better at cycling. My girlfriend and I recently did a 30 km run with two breaks. In the days before the surgery, I also rode a lot, but I quickly got tired and I just drove myself rather than enjoying it. What was also a great joy for me was that I was able to put on a 48, ready-to-wear size pants and now I also have jeans. So far I've only worn leggings…

dr. Péter Vasas and our patient talk about the results achieved so far

How is your health now?

I now have much more energy and feel better. I was a hairdresser, I know that hair loss occurs with all major hormonal changes and physical changes, so I did not perceive temporary hair loss as tragic.

How has your diet changed, what do you pay more attention to?

I try to eat consciously. I make sure that there are vegetables at every meal, I start the day with fruit in the morning. If I happen to eat a piece of chocolate, I make sure that it fits within the daily calorie, fat and sugar limit that I can consume. I try to eat quality things and pay attention to my vitamin intake.

____________
No. 1
BaZrPa2S8 | PBE-GGA | relaxed

```
data_BaZrPa2S8
_chemical_formula_sum 'Ba1 Zr1 Pa2 S8'
_cell_length_a 6.131
_cell_length_b 8.423
_cell_length_c 6.440
_cell_angle_alpha 90.00
_cell_angle_beta 91.78
_cell_angle_gamma 90.00
_space_group_name_H-M_alt 'P 1 2/m 1'
_space_group_IT_number 10
loop_
_space_group_symop_operation_xyz
'x,y,z'
'-x,-y,-z'
'-x,y,-z'
'x,-y,z'
loop_
_atom_site_label
_atom_site_fract_x
_atom_site_fract_y
_atom_site_fract_z
Ba1 0.000 0.000 0.000
Zr1 0.000 0.500 0.000
Pa1 0.500 0.255 0.500
S1 0.245 0.292 0.170
S2 0.273 0.500 0.667
S3 0.277 0.000 0.613
```

**Calculated density**: 4731 kg/m3
**M_tot**: 0.00 Bohr magnetons per cell
**Formation energy without anion corrections**: -1.5282 eV/atom

---

No. 2
Ba2ZrPaS6 | PBE-GGA | relaxed

```
data_Ba2ZrPaS6
_chemical_formula_sum 'Ba4 Zr2 Pa2 S12'
_cell_length_a 7.287
_cell_length_b 10.305
_cell_length_c 7.283
_cell_angle_alpha 90.00
_cell_angle_beta 90.00
_cell_angle_gamma 90.00
_space_group_name_H-M_alt 'P m m n'
_space_group_IT_number 59
loop_
_space_group_symop_operation_xyz
'x,y,z'
'-x,-y,-z'
'-x+1/2,-y+1/2,z'
'x+1/2,y+1/2,-z'
'x+1/2,-y,-z'
'-x+1/2,y,z'
'-x,y+1/2,-z'
'x,-y+1/2,z'
loop_
_atom_site_label
_atom_site_fract_x
_atom_site_fract_y
_atom_site_fract_z
Ba1 0.250 0.000 0.248
Zr1 0.250 0.250 0.750
Pa1 0.250 0.750 0.750
S1 0.003 0.250 0.503
S2 0.003 0.250 0.997
S3 0.250 0.003 0.751
```

**Calculated density**: 4793 kg/m3
**M_tot**: 1.46 Bohr magnetons per cell
**Formation energy without anion corrections**: -1.8061 eV/atom


(1)
Compound: CaTb3C
Source: Alexandria via LeMat-Bulk
Functional: GGA-PBE
Structure: relaxed

```
data_CaTb3C
_chemical_formula_sum 'Ca1 Tb3 C1'
_symmetry_space_group_name_H-M 'P 1'
_symmetry_Int_Tables_number 1
_cell_length_a 5.135
_cell_length_b 5.135
_cell_length_c 5.135
_cell_angle_alpha 90.00
_cell_angle_beta 90.00
_cell_angle_gamma 90.00
loop_
_symmetry_equiv_pos_as_xyz
'x,y,z'
loop_
_atom_site_label
_atom_site_fract_x
_atom_site_fract_y
_atom_site_fract_z
Ca1 0.500 0.500 0.500
Tb1 0.000 0.000 0.500
Tb2 0.500 0.000 0.000
Tb3 0.000 0.500 0.000
C1 0.000 0.000 0.000
```

Results
The total energy is -25.09 eV per cell. For the formation energy, the calculation gives 0.03 eV per formula unit.



(2)
Compound: YHo2Sb
Source: Alexandria via LeMat-Bulk
Functional: GGA-PBE
Structure: relaxed

```
data_YHo2Sb
_chemical_formula_sum 'Y1 Ho2 Sb1'
_symmetry_space_group_name_H-M 'P 1'
_symmetry_Int_Tables_number 1
_cell_length_a 3.954
_cell_length_b 3.954
_cell_length_c 9.958
_cell_angle_alpha 78.55
_cell_angle_beta 78.55
_cell_angle_gamma 60.00
loop_
_symmetry_equiv_pos_as_xyz
'x,y,z'
loop_
_atom_site_label
_atom_site_fract_x
_atom_site_fract_y
_atom_site_fract_z
Y1 0.500 0.500 0.500
Sb1 0.000 0.000 0.000
Ho1 0.266 0.266 0.201
Ho2 0.734 0.734 0.799
```

Results
The total energy is -20.90 eV per cell. Its formation energy without anion corrections is -0.291 eV/atom. Its offset from the most stable computed form is 273 meV/atom.



(3)
Compound: Rb2BaAg2Cl6
____________

dr. Péter Vasas and our patient, now 48 kg lighter

He mentioned cycling. Do you do any other sports or do you plan to?

I want to swim, do yoga, and when I reach 80 kg, I want to try pole dancing fitness, because I really like it. I would also like to return to horse riding, which I used to love doing. If I reach the 75 kg goal, I can finally try everything, even rock climbing. I feel full of energy and that's great!

You can read our patient's journey so far by clicking here ! If you are interested in our bypass surgeries, make an appointment!